The Rivers and Mountains

Chapter 44: [Debate]


"You mean that Mr. Chen Yin went to prison because he informed Mr. Wang?" Kong Xiucai asked immediately after the crowd calmed down, "You all came to Hangzhou to investigate Mr. Wang?"

Zhang Hu nodded, and said loudly: "That's right!"

Kong Xiucai laughed, and said loudly: "You keep saying that the evidence has been sent to the capital, and I haven't seen it in person, so it's up to you to say yes. That's all, I want to ask, since it is said that Mr. Who is the giant merchant? Now that Mr. Wang is being pointed at, why is the figure of the giant merchant not seen? If it is really necessary to submit a letter, since Mr. Wang is named and submitted, why not include the real identity of the treacherous giant merchant write down?"

Seeing that the old scholar was aggressive, Zhang Hu was a little unhappy, and said calmly: "Don't worry, everyone, this giant businessman is ignoring the law, the Ministry of Industry will naturally send people to investigate, and he can't escape."

Kong Xiucai stroked his beard and smiled, seemingly relaxed: "In the final analysis, some of the crimes in the thousand-character statement are still not true. Although the old man has a meritorious reputation in the letter, he would never dare to write his name on it. If it is finally It has been found out that Mr. Wang’s crimes are not true. If the court finds out, I’m afraid that I’ll wait until I’m dismissed. After decades of hard study, I’ll be done! Hehe, I dare not sign... dare not sign...!" He waved his hands again and again with an old face. With a weird smile.

These words are actually a reminder to all talented scholars who have achieved fame, if they sign their names in a daze, their future may be ruined here.

There was a moment of silence in the arena.

Xiao Suzhen showed helplessness on her beautiful face, and slowly said: "In any case, it is always a fact that my father was wronged, can't you all act out of righteousness? There are hundreds of talents in Hangzhou, and no one has pity on the little girl?"

The young and the talented were in a bit of a dilemma. Seeing the lovely and pitiful Xiao Suzhen, many people wanted to rush forward to write their names and press them with their fingerprints, but they were quite hesitant when they thought that their future future might be ruined by this.

Hearing the applause suddenly, a refreshing voice said leisurely: "Well said, well said!" But they didn't know who was speaking well, and everyone looked at the speaker, but it was the shopkeeper of Lanyuexuan.

Xue Poye clapped his hands and walked forward slowly, and said in a loud voice: "Everyone, everyone, what Kong Laoxiu said is really good and makes sense, even I, a small shopkeeper, admire it very much!"

Both Xiao Suzhen and Zhang Hu were taken aback for a moment, and then frowned immediately. Is this Xue Poye confused, how can he cheer up for outsiders

There are a lot of talented people on and off the court, and they are all very dissatisfied. We have learned and respected gentlemen who are discussing big things, and you, a humble little businessman, come out and do ass.

That Kong Xiucai was a little happy to see Xue Poye coming out to support him, and said with a smile: "The shopkeeper seems to agree with the old man's words!"

Xue Poye nodded repeatedly, and said: "Of course I agree, of course I agree." Touching his nose, he asked slowly: "However, Kong Laoxiu, I have some doubts, I wonder if I can give you some advice?"

Kong Xiucai didn't know what kind of medicine was sold in Xue Poye's gourd, so he became cautious, nodded and said, "Please tell me!"

Xue Poye walked to Xiao Suzhen's side, looked at the thousand-character words on the table, and said leisurely: "Everyone who has read poetry and books, you naturally know etiquette, righteousness and shame. Confucius old scholar, since you don't believe that Wang Zhifu colluded with others to enrich his own pockets, but you don't know Do you believe Mr. Chen Yin colluded with Qing Lianzhao?"

Kong Xiucai was taken aback for a moment, not knowing why he suddenly asked this question, but the talented people around him were already shouting: "I don't believe it, I don't believe it. Mr. Chen Yin is my great literary hero. It is absolutely unbelievable to be able to collude with Qinglianzhao's rebels."

Kong Xiucai put away his smile, feeling a little embarrassed, shook his head and said, "If you don't believe me, Mr. Chen Yin must be innocent."

"Oh!" Xue Poye sat down at the table leisurely, and asked again with a relaxed look, "That is to say, Kong Laoxiu was the one who confirmed Mr. Chen Yin's innocence, right?"

Kong Xiucai was silent for a moment, and finally nodded.

Xue Poye laughed and said: "Now you trust Mr. Wang's innocence, and you also believe Mr. Chen Yin's innocence." He glanced at the crowd and said, "Will you be there that talented girl Xiao defended her father's justice in front of the government office in Hangzhou? "

Xiao Suzhen and Zhang Hu looked at Xue Poye in confusion, not knowing what he was going to do.

Kong Xiucai nodded and said, "I was indeed present that day."

"That's good!" Xue Poye immediately said: "My lord Wang announced Mr. Chen Yin's charges to the public that day. I wonder if Kong Laoxiu still remembers it?"

Seeing Xue Poye's calm expression, Kong Xiucai's star-like eyes twinkling, full of weirdness and traps, he felt very uncomfortable, and replied: "I remember."

Xue Poye chuckled, and said loudly: "Just remember." He got up and clasped his fists around, and said loudly: "I'm afraid you all remember that Mr. Wang's right-hand man, Mou Xunjian, said that with red lips and white teeth. Mr. Chen Yin colluded with Qing Lianzhao to write an article for them, Mr. Wang did not deny it, and since he did not deny it, Mr. Chen Yin's charges were naturally fulfilled."

Everyone stared at Xue Poye intently, waiting for him to speak.

Xue Poye coughed twice, looked at Kong Xiucai, and said in a compelling voice, "Mr. Kong Xiucai said just now that he firmly believes in the innocence of Mr. Wang and Mr. Chen Yin. But now Mr. Wang is the one who has committed Mr. Chen Yin's collusion with Qing Lianzhao. No matter what, one of the two is not innocent, either Mr. Chen Yin is indeed guilty and Mr. Wang is just and honest, or Mr. Chen Yin is innocent, but Mr. Wang fabricated a crime to frame him!" Both eyes A cold light flashed, staring at Kong Xiucai's eyes, and said coldly: "But I don't know whether Kong Xiucai thinks Mr. Wang is innocent, or Mr. Chen Yin?"

Kong Xiucai immediately broke out in cold sweat on his forehead, unexpectedly, a small businessman was so sharp-tongued, he forced himself into embarrassment, opened his mouth a few times, "Ah, ah", but did not say a word.

Talented scholars, young and old, thought for a while, and most of them felt that Mr. Chen Yin was innocent, while Wang Shizhen made up crimes to frame the good guy.

A few words from Xue Poye immediately changed the form, Xiao Suzhen looked at Xue Poye gratefully, and Zhang Hu nodded with a smile, showing admiration.

Xue Poye smiled lightly, and said slowly: "From my point of view, I would rather believe that Mr. Chen Yin is innocent. Think about it carefully, if Mr. Wang is really honest and upright, then why did the Zuodu Censor of the Metropolitan Procuratorate refuse to say goodbye?" I worked so hard to come here from the capital, is it to come here to slander Mr. Wang for colluding with giant merchants to enrich his own pockets? Since even Mr. Tan is here, the middle things are naturally not easy. If Mr. Wang is not tricky at all, I am afraid that no one will believe it."

What he said made a lot of sense, and talented people, young and old, all nodded involuntarily.

Kong Xiucai wiped his sweat, and finally said: "Even if Mr. Wang is guilty and Mr. Chen Yin is innocent, that old man would not dare to sign and seal this thousand-character statement. No one can tell clearly about the affairs of the officialdom. Bet on this thousand words."

Xue Poye sneered and said: "It's useless for you to keep saying that you read sage books since you were a child. The sage books don't teach you to do things without conscience. Scholars should not only worry about the world's worries first, and enjoy the world's joys, but also hold high The banner of morality and the maintenance of justice in the world, if scholars don’t care about fairness and conscience, then who cares? Now that Mr. Chen Yin has been wronged and wronged, it is a great shame for scholars. Not only are you not ashamed, but you care about your own future and dare not uphold justice , I despise you, I despise you thoroughly. Besides, you are a person who has half a foot in the coffin, and you are just a scholar, so there is no future!"

Kong Xiucai rolled her eyes from being scolded, covered her chest, and collapsed.

Xiao Suzhen was both pleasantly surprised and grateful, and chanted in a low voice: "Worry about the world's worries first, and enjoy the world's joys later, thanks to him... thanks to him for having this ambition!" , but no one heard.

Xue Poye raised his hands high and said loudly: "Mr. Chen Yin has been wronged now. Think about it, if you are charged and detained for no reason, do you want someone to come out to uphold justice? Mr. Chen Yin is wronged today, if If you can't come out to defend justice, then who will come out when you suffer wronged yourself?" Coughing twice, he said in a loud voice: "Mr. Chen Yin is a great writer in our great Chu country, and also the face of great Chu scholars. , now that your face has been torn, don't you all want to get it back!"

These words were extremely provocative, and using the analogy of the people themselves, they immediately gained support, and some people shouted: "Recover your dignity, recover your dignity, and uphold justice!" The shouts were like thunder.

• What comes next are records of molecules, not part of the page:
'''
Arrangement w

A molecular structure, CH9NO3. Source: the Open Molecules 2025 dataset; level of theory: the ωB97M-V functional and the def2-TZVPD basis.

The gap between HOMO and LUMO is 3.43 eV.

Geometry as ORCA input:
```
! wB97M-V def2-TZVPD RIJCOSX def2/J DEFGRID3
* xyz 0 1
C 2.189 1.232 1.168
N 1.384 0.475 0.314
H 2.581 0.682 2.039
H 1.623 2.075 1.564
H 3.044 1.632 0.590
H -1.553 0.305 -0.955
H -0.450 0.842 -0.020
O -1.155 1.140 -0.597
H -1.400 -1.081 -2.425
H 1.817 -0.392 -0.019
O -2.177 -1.015 -1.858
H -2.344 -2.306 0.785
H -1.938 -1.526 -0.783
O -1.621 -2.063 0.199
*
```

Arrangement x

4 unconnected molecules or ions with the total composition CH9NO3. Source: the Open Molecules 2025 dataset; level of theory: the ωB97M-V functional and the def2-TZVPD basis.

Its SMILES is C=N.O.O.O. The gap between HOMO and LUMO is 10.95 eV.

Geometry as ORCA input:
```
! wB97M-V def2-TZVPD RIJCOSX def2/J DEFGRID3
* xyz 0 1
C 0.621 1.979 -1.986
N -0.145 1.653 -1.041
H 1.264 2.857 -1.926
H 0.770 1.362 -2.879
H -0.673 0.803 -1.240
H -1.104 -1.365 0.261
H -1.935 -1.652 -0.992
O -1.376 -0.974 -0.599
H 1.315 0.969 2.183
H 0.756 0.978 0.812
O 0.997 0.360 1.508
H 0.618 -1.482 1.481
H 0.400 -2.937 1.162
O -0.020 -2.209 1.628
*
```

Energy ordering: arrangement x at the bottom, the next structure 170.7 kcal/mol above.

Arrangement w

3 unconnected molecules or ions with the total composition CH4Cl2N2. Source: the Open Molecules 2025 dataset; level of theory: the ωB97M-V functional and the def2-TZVPD basis.

Its SMILES is C#N.NCl.Cl. The gap between HOMO and LUMO is 10.12 eV.

Geometry as ORCA input:
```
! wB97M-V def2-TZVPD RIJCOSX def2/J DEFGRID3
* xyz 0 1
C -1.085 2.636 -0.192
N 1.187 -0.729 -0.014
N -0.274 1.867 -0.380
Cl 2.918 -0.402 0.195
Cl -1.847 -3.283 0.877
H -1.864 3.341 -0.010
H 0.639 0.008 0.413
H 1.000 -0.639 -0.943
H -0.675 -2.799 0.053
*
```

Arrangement x

2 unconnected molecules or ions with the total composition CH4Cl2N2. Source: the Open Molecules 2025 dataset; level of theory: the ωB97M-V functional and the def2-TZVPD basis.

The gap between HOMO and LUMO (spin up / spin down) is 8.41 / 8.41 eV.

Geometry as ORCA input:
```
! wB97M-V def2-TZVPD RIJCOSX def2/J DEFGRID3
* xyz 0 1
C -0.402 0.246 -0.701
N 1.498 -0.522 -0.459
N -1.155 0.281 0.435
Cl 1.531 -0.858 1.211
Cl -1.857 -1.118 1.274
H -0.800 -0.524 -1.410
H -0.036 1.233 -0.927
H 2.144 0.224 -0.500
H -0.924 1.038 1.077
*
```

Energy ordering: arrangement w at the bottom, the next structure 40.0 kcal/mol above.

Arrangement w

2 unconnected molecules or ions with the total composition CH3FOS. Source: the Open Molecules 2025 dataset; level of theory: the ωB97M-V functional and the def2-TZVPD basis.

Its SMILES is FC=S.O. The gap between HOMO and LUMO is 9.50 eV.

Geometry as ORCA input:
```
! wB97M-V def2-TZVPD RIJCOSX def2/J DEFGRID3
* xyz 0 1
C 1.580 0.005 -0.266
O -2.187 0.193 -0.010
F 2.308 1.005 -0.819
S 2.311 -1.273 0.306
H 0.529 0.169 -0.253
H -1.527 -0.310 0.471
H -3.014 0.211 0.572
*
'''


Save it if it looks good, it will be more exciting later!